How to Have Deep Conversations

Author: Jacqui Hogan

Quality Conversations Make You Feel Good

Don’t you just love it when you have a great catch-up with a friend?

What makes catching-up so great?

Is it the person, what they say? What they’ve been up to, or is it because they show an interest in you?

What about conversations with your partner? What makes them great?

Is it the story telling, the humour or reminiscing from days gone by?

Perhaps it’s a bit of everything?

Let’s take a look at how you can have more deep and fulfilling conversations.

communication guide

What are Deep Conversations?

It’s not often we stop and take a look at what makes up quality communication. Apart from learning English (or language study) at school and picking up cues from socialising in general, we don’t often learn or think about what makes up great communication.

Sure there are marketing degrees and specialist leadership courses, for example, but are they relevant to having deep conversations with your partner?… Perhaps not.

Layers of Deep Communication

How do you have deep conversations?

First up – This article builds on the previous resource “Your Guide to Deep Communication”.

So if you haven’t read that, check it out now – then come come back here to continue reading.

You need to understand the essential concepts to grasp what we will be referring to in this post.

Getting the foundations in place is critical for deep communication and wonderful fulfilling conversations with the people you love.

Things to Stop Doing for Better Conversations

poor communication
Really!? - Are you serious right now?

To have better conversations and deeper communication, it makes sense to first stop doing things that detract from having a wonderful conversation.

You don’t have to be Churchill, Oprah or an ‘intellectual’ to have a deep conversation. In fact deep conversations can be held by anyone, including children.

You see, anyone can give their full attention if they choose to. So start quality conversations by first stopping what you’re currently doing and give your full attention to the person you are talking to.

Simple right!

How much difference would this one change make in your relationship?

I encourage you to look over the first two layers of the Deep Communication graphic below. Here, you can see many of the things you want to do less of. Be sure to check out the full Deep Communication resource for further understanding.

deep communication
Get to know the layers of deep communication

Acceptance & Availability

The next concept to embrace for deeper communication and more effective relationships is to let go of your own needs and wants. Allow yourself to open up to the other person and the elements within the deeper communication layers.

Having trust helps. But even in a trusting relationship, it takes courage to open up, be accepting of your weakness and flaws, and have availability toward the other persons needs.

You might naturally be a good listener, or have a combination of traits that make you a good communicator, but there could be something you could be better on. So find out what that is. 

Look at the ‘tags’ in the layers and see what stands out as something you can be better on.

Perhaps you occasionally interrupt? Maybe you are quick to judge? Perhaps you are at times self-centred and steer the conversation to be about you?

Find the areas you can brush up on, and make a note to be aware of them.

Which leads to the next skill…

Self Awareness

Quality communication is built on a ‘live’ level of self awareness. Think back to your favourite conversations. What made them great?

One thing they will all have in common is an abundance of self awareness.

When both people are aware of themselves and the conversation they are having they can each detect where the conversation is going, how they are feeling, and how the other person is feeling.

For example, you can sense:

  • The levels of interest
  • The levels of understanding
  • The best styles of communication
  • Areas of intrigue, humour, usefulness
  • Engagement and purpose
  • Character and authenticity
  • Pathways to deeper conversations
  • Distractions, and other ‘surface level’ talking points
  • And so much more…

There are many areas you are constantly monitoring when talking to someone. No wonder meeting new people can be a bit daunting!

Much of this monitoring is done on auto-pilot, which on one hand can help us relax, and be present; but by raising these points into our conscious awareness, you can become a mindful communicator.

In this ‘space’ you will be able to listen better, and make the changes you desire to become a better communicator!

Start being a mindful communicator in your next conversation – What will you notice?

Self awareness & mindful communication for meaningful and satisfying relationships

Mindful Communication

Mindful Communication helps you be a better communicator.

Raising the quality of your communication can take many forms. Let’s look at a couple of ways you can be more mindful, when communicating and find the top areas for you to improve on.

You might think you are a great communicator because you lead the debate team at school. You might think you are an excellent communicator because you are a manager or great team player on the sports field.

But those roles are often so narrow – that their relevance is limited or misguided when it comes to deep and meaningful communication.

When you think about it, debating is about ‘winning an argument’ and bending facts to suit a narrative. While discounting the other sides’ point of view. Not the best strategy for a loving and inclusive conversation.

What else?

Communication in the workplace, usually has a hierarchy bearing over the communication, along with a reward /punishment vale draped over the conversations too.

So again, these types of conversations may be hampered from the start.

Between two parts of the entry: records of molecules:
********
# 1
{
  "formula": "C5H12O",
  "method": "ωB97M-V/def2-TZVPD",
  "lumo_energy_ev": 0.9994,
  "de_lowest_kj_mol": 36.1,
  "orbital_gap_ev": 11.145,
  "homo_energy_ha": -0.373,
  "smiles": "CC(C)[C@@H](C)O",
  "energy_ha": -272.934899,
  "species": ["C", "C", "C", "C", "C", "O", "H", "H", "H", "H", "H", "H", "H", "H", "H", "H", "H", "H"],
  "positions_angstrom": [[-1.44, 1.35, 0.07], [-0.59, 0.09, 0.26], [-1.17, -1.12, -0.50], [0.90, 0.36, -0.13], [1.88, -0.31, 0.83], [1.18, 0.00, -1.48], [-1.24, 2.09, 0.86], [-1.26, 1.82, -0.90], [-2.51, 1.11, 0.13], [-0.61, -0.15, 1.33], [-1.00, -2.06, 0.04], [-2.25, -1.00, -0.63], [-0.75, -1.23, -1.51], [1.07, 1.44, -0.11], [2.88, -0.36, 0.39], [1.56, -1.33, 1.08], [1.95, 0.25, 1.77], [1.38, -0.94, -1.50]]
}

=====

# 2
{
  "formula": "C4H7NO",
  "method": "ωB97M-V/def2-TZVPD",
  "lumo_energy_ev": 1.1171,
  "de_lowest_kj_mol": 270.7,
  "orbital_gap_ev": 10.668,
  "homo_energy_ha": -0.351,
  "smiles": "O=CCN1CC1",
  "energy_ha": -286.528560,
  "species": ["O", "C", "C", "N", "C", "C", "H", "H", "H", "H", "H", "H", "H"],
  "positions_angstrom": [[-2.78, 0.69, 0.69], [-1.96, -0.19, 0.53], [-0.54, 0.20, 0.83], [0.54, -0.57, 0.22], [0.81, -0.43, -1.20], [1.71, 0.18, -0.20], [-2.27, -1.18, 0.16], [-0.39, 0.15, 1.91], [-0.76, 1.27, 0.65], [0.17, 0.22, -1.79], [1.13, -1.34, -1.71], [2.68, -0.26, 0.00], [1.67, 1.26, -0.09]]
}

=====

# 3
{
  "formula": "C4H6N2O",
  "method": "ωB97M-V/def2-TZVPD",
  "lumo_energy_ev": 0.9201,
  "de_lowest_kj_mol": 128.6,
  "orbital_gap_ev": 8.584,
  "homo_energy_ha": -0.282,
  "smiles": "Nc1[nH]ccc1O",
  "energy_ha": -340.745945,
  "species": ["N", "C", "N", "C", "C", "C", "O", "H", "H", "H", "H", "H", "H"],
  "positions_angstrom": [[1.89, 0.90, 0.11], [0.60, 0.41, -0.20], [-0.46, 1.30, -0.31], [-1.65, 0.63, -0.07], [-1.33, -0.69, 0.13], [0.07, -0.83, 0.00], [0.80, -1.98, 0.11], [2.58, 0.83, -0.63], [2.23, 0.38, 0.92], [-0.20, 2.23, -0.59], [-2.66, 1.02, 0.06], [-2.03, -1.50, 0.28], [0.16, -2.70, 0.18]]
}

=====

# 4
{
  "formula": "BrH2OPS",
  "method": "ωB97M-V/def2-TZVPD",
  "lumo_energy_ev": -1.8529,
  "de_lowest_kj_mol": 75.5,
  "orbital_gap_ev": 7.644,
  "homo_energy_ha": -0.349,
  "smiles": "S=PBr.O",
  "energy_ha": -3390.004813,
  "species": ["S", "P", "Br", "O", "H", "H"],
  "positions_angstrom": [[1.25, -1.89, -0.25], [1.85, -0.48, 1.03], [1.64, 1.43, -0.08], [-1.53, 0.05, 0.07], [-2.33, 0.14, -0.49], [-0.88, 0.75, -0.29]]
}

=====

# 5
{
  "formula": "C4H3N2",
  "method": "ωB97M-V/def2-TZVPD",
  "lumo_energy_ev": -5.9612,
  "de_lowest_kj_mol": 103.3,
  "orbital_gap_ev": 8.070,
  "charge": 1,
  "homo_energy_ha": -0.516,
  "smiles": "C#[N+]C=C=C=N",
  "energy_ha": -263.280308,
  "species": ["C", "N", "C", "C", "C", "N", "H", "H", "H"],
  "positions_angstrom": [[1.50, -0.98, -0.04], [1.32, 0.16, 0.01], [0.90, 1.50, -0.07], [-0.43, 1.52, 0.02], [-1.33, 0.54, 0.01], [-2.08, -0.36, 0.00], [1.14, -2.03, 0.11], [1.66, 2.32, 0.25], [-3.06, -0.69, 0.15]]
}

=====

# 6
{
********

Look at the tags in the first two layers of the deep communication graphic. I think you’ll agree that on any given day at work your responses are going to be influenced by being pleasing to the boss, needing to be right in front of the junior employees, etc.

Or perhaps you are tired at work and resort to bland, lazy, comforting and agreeable conversations to pass the time and get through the day?

Discover your limitations. Raise your awareness. Be mindful of how you show up for conversations.

defensive communication
What poor communication traits do you need to replace or improve on?

Quick Summary for Deep Communication so Far

Let’s take stock of what we have covered so far.

  1. You are aware of why you need deep communication and the benefits that stem from quality conversations.
  2. You’ve covered the foundations of deep communication and have an understanding of the elements at play.
  3. You have identified your quirks and what you need to stop doing.
  4. You’ve accepted your weaknesses and are more open and available in conversations, especially to people you trust.
  5. You are raising your self-awareness during conversations, tuned in beyond the ‘shallow layers’.
  6. You are mindfully communicating, and practicing deep communication.

Well done!

With that in mind – let’s dive in to the good stuff – the rich layers of deep communication.

Quality relationships are buiilt on the quality and depth of your communication

Empathic Listening & Authenticity

In the third layer of the deep communication graphic we have Empathic Listening and Authenticity.

Ticking the boxes to the list above allows you to communicate successfully in this layer and have quality communication.


It’s all about hearing each other, and understanding the meaning behind the words.

It’s about asking great questions to get the best out of each other.

It’s about being creative and inquisitive and exploring that deeper meaning. Finding the why behind their opinion, stance, or belief.

It’s about building trust, and using that trust to ask hard but respectful questions.

It’s about giving each other space, picking up on the body language and being disciplined to ‘go there’ or ‘push through’ or ‘ease off’, for the greater outcomes.

It’s about taking responsibility for what you say. For crafting your words carefully and honestly. For listening without judgement and having self control to ‘process’, before ‘reacting’.

It’s about taking the mature approach and processing your understanding on multiple levels. A logical or ‘head’ level. An emotional or ‘heart’ level, and an ‘actionable’ or gut level.

It’s about using your knowledge and worldly wisdom to analyse, distill, and propose ideas and ways forward.

It’s about honesty, your character and being authentic. True to your word and honouring your commitments.

It’s about putting yourself in other’s shoes and taking the time to ‘get it’.

Worth it. - Experience the benefits of quality relationships

Deep Understanding & Trust

At the deepest layer, we have the ‘gold’ in understanding and trust.

Descending through to deep understanding and trust is rewarding. It harps back to the beginning of the article about the best conversations you’ve had. Catching up with great friends, and having wonderful conversations – that mean something, with people you love, trust and care about.

Looking at this layer, its about communicating with honesty. Not hiding behind mis-truths or dodging responsibility. It’s being fine with saying “I don’t know” when you don’t know.

It’s about listening compassionately and speaking boldly with conviction, using all of your being, from the heart, mind and gut.

It’s being transparent, no hidden agenda, and your boundaries are clear. It’s being firm when you need to be and assertive too.

It’s about context and understanding the dynamics at play.

It’s about communicating mindfully and continuing your legacy of who you are.

It’s about decisiveness and bringing all the pieces of the puzzle together to make the best decisions you can at the time.

It’s being humble in who you are and your achievements. It’s about being equal and fair to everyone.

It’s about second chances and being willing to admit your mistakes. It’s being open and willing to accept the apologies of others.

It’s about appreciating each other and being grateful for the rich experience we can share together.

Ultimately it’s about the community and world we shape. One deep conversation at a time.

family life purpose
Deep communication for living your shared dreams

What's Next?

Have deep conversations. Practice them with your partner. Have them with your kids, friends, family and beyond.

Tow shallow conversations to deeper water. Help other’s have deeper conversations. Raise the bar. Be the tide that lifts all boats.

Check out the following related resources to help you have deep conversations and closer, more meaningful relationships.

Shared Vision

with Life Values

Improve Your Relationship with Couples Counselling